Next, retype the rows further below from the first line to the one with "10.6701 4.3357" exactly.

........
(1)
117
Properties=species:S:1:pos:R:3:forces:R:3 method="wB97M-V/def2-TZVPD" molar_mass_g_mol=1092.21 lumo_energy_ev=-7.23 charge=+1 gap_ev=0.92
C -6.9152 1.7592 2.2700 -0.3 0.1 -0.5
C -7.1034 1.3518 0.8188 0.1 0.4 0.5
O -7.6599 0.0633 0.8008 -0.3 -0.2 0.0
C -8.2372 -0.3069 -0.4377 0.5 0.6 -0.6
C -7.3987 -1.3082 -1.1916 -0.5 0.1 0.6
C -7.9318 -1.8835 -2.3373 0.1 0.1 0.0
C -7.1817 -2.7772 -3.0755 -0.3 0.3 0.0
C -5.9089 -3.0911 -2.6349 0.6 -0.4 -0.4
C -5.3867 -2.5370 -1.4883 -0.3 0.0 0.4
C -6.1356 -1.6368 -0.7479 0.3 -0.2 -0.2
N -4.0724 -2.8994 -1.0858 0.2 0.2 -0.1
C -3.1093 -2.7424 -2.0766 0.4 0.0 -0.1
C -1.9372 -2.0006 -1.8762 -0.2 -0.2 0.3
C -1.7565 -1.3211 -0.5503 0.3 0.6 -0.1
O -0.6277 -0.4483 -0.6239 0.4 0.1 -0.2
O -0.2160 -0.2747 0.7435 -0.2 -0.2 0.4
C -1.0282 -1.8898 -2.8981 0.8 0.1 0.4
C -1.2446 -2.4880 -4.1129 -0.2 -0.7 -0.1
C -2.4055 -3.1996 -4.3361 0.3 0.0 -0.2
C -3.3281 -3.3308 -3.3178 -0.9 0.0 0.1
S -4.8454 -4.2076 -3.5243 -0.1 -0.2 -0.2
H -6.5806 2.7949 2.3105 0.3 0.0 0.1
H -6.2287 1.0944 2.7857 0.0 0.0 0.1
H -7.8977 1.7364 2.7353 0.0 -0.2 0.3
H -7.7672 2.0950 0.3662 -0.2 -0.2 -0.2
H -6.1500 1.4031 0.2733 0.0 -0.2 -0.1
H -9.2656 -0.6493 -0.3447 0.0 -0.3 0.4
H -8.2713 0.5868 -1.0716 -0.2 0.0 -0.1
H -8.9347 -1.5931 -2.6159 -0.1 -0.2 -0.2
H -7.6019 -3.2043 -3.9729 0.1 -0.1 -0.1
H -5.7233 -1.2155 0.1588 -0.1 0.1 0.1
H -3.8183 -2.4789 -0.2065 -0.1 0.0 0.1
H -2.6230 -0.6885 -0.3371 -0.2 -0.2 0.3
H -1.5638 -2.0221 0.2625 -0.2 -0.1 0.1
H 0.4431 0.4269 0.6930 -0.1 0.2 -0.3
H -0.1346 -1.2996 -2.7729 0.0 0.1 0.1
H -0.4760 -2.3393 -4.8703 0.3 -0.2 0.2
H -2.6428 -3.6635 -5.2944 0.0 -0.2 0.0
N -11.5035 -2.5041 -1.1199 0.0 0.0 0.1
O -12.6521 -2.8766 -0.8899 0.0 0.0 0.0
O -10.5904 -2.7375 -0.3079 0.0 0.0 0.0
O -11.2412 -1.8844 -2.1667 0.0 0.1 0.0
O 7.0141 -1.1828 -1.8899 0.5 -2.1 0.8
P 5.6217 -1.3510 -1.4737 -1.8 4.1 -1.1
O 4.6454 -1.2614 -2.7316 0.1 -0.3 0.3
C 4.8104 -2.2016 -3.8222 0.0 -0.4 -0.5
C 4.4877 -3.6215 -3.4093 0.0 0.1 0.3
O 5.3036 0.1859 -0.8376 -0.6 0.3 -0.1
C 6.3872 0.9001 -0.2397 0.0 0.1 0.1
C 6.7909 2.0206 -1.1688 1.2 -0.8 0.0
O 4.8108 -2.1587 -0.4302 1.5 -1.1 0.1
C 3.6151 -1.7500 0.2756 -0.8 -0.4 0.6
C 2.3650 -1.8451 -0.5657 0.1 0.2 -0.3
H 5.8267 -2.1315 -4.2127 0.0 0.1 0.1
H 4.1337 -1.8741 -4.6086 -0.1 0.2 0.1
H 5.2017 -3.9906 -2.6678 0.0 0.0 -0.1
H 4.5233 -4.2834 -4.2730 0.0 0.0 0.0
H 3.4962 -3.6812 -2.9613 -0.1 0.0 -0.1
H 7.2612 0.2870 -0.0342 -0.1 -0.2 -0.1
H 6.0362 1.2948 0.7202 0.0 0.0 0.0
H 7.0226 1.6487 -2.1703 -0.1 -0.1 0.0
H 7.6500 2.5778 -0.8019 -0.1 0.2 0.0
H 5.9803 2.7113 -1.2594 3.0 0.5 0.5
H 3.7339 -0.7660 0.7235 0.3 0.1 -0.3
H 3.5364 -2.4459 1.1091 0.2 -0.1 -0.1
H 2.3013 -1.0347 -1.2944 0.0 0.0 0.0
H 1.4885 -1.7808 0.0780 0.1 0.0 0.0
H 2.3311 -2.7863 -1.1117 0.0 -0.1 0.1
Mg -1.3159 -2.2900 -6.7249 -0.7 1.0 -0.1
F -1.9565 -0.0862 -4.5350 0.9 -3.5 -2.7
Cs -2.3441 1.7685 -3.5482 -1.1 3.7 1.8
C -0.7183 -0.4329 7.4588 0.0 -0.1 -0.1
C -0.1732 0.0349 6.1125 0.0 0.0 0.1
C -0.5390 1.4798 5.7764 0.0 0.0 -0.1
C -2.0386 1.7554 5.6447 0.0 -0.1 0.1
C -2.7635 0.9047 4.6029 0.0 0.1 -0.1
C -2.2487 1.1247 3.1842 -0.1 -0.1 0.0
H -1.8083 -0.4196 7.4798 0.0 0.0 0.0
H -0.4013 -1.4552 7.6682 0.0 0.0 0.0
H -0.3528 0.2021 8.2678 0.0 0.0 0.0
H -0.5219 -0.6385 5.3236 0.0 0.0 0.0
H 0.9184 -0.0502 6.1277 0.0 0.0 0.0
H -0.0321 1.7646 4.8488 0.0 0.0 0.0
H -0.1331 2.1375 6.5507 0.0 0.0 0.0
H -2.1739 2.8126 5.3967 0.0 0.0 0.0
H -2.5232 1.6133 6.6135 0.0 0.0 0.0
H -3.8268 1.1527 4.6341 0.0 0.0 0.0
H -2.6906 -0.1557 4.8581 0.0 0.0 0.0
H -2.3466 2.1732 2.8919 0.0 0.0 0.0
H -2.8159 0.5238 2.4710 0.0 0.0 0.0
H -1.1999 0.8385 3.0902 0.0 0.0 0.0
O -3.9881 2.4821 -7.7951 0.0 0.4 0.0
S -3.4759 1.9249 -9.0504 0.1 0.5 0.2
O -3.8653 0.5036 -9.1115 0.5 -0.6 -0.3
O -2.0132 2.0677 -9.0525 0.2 -0.6 0.3
O -4.0165 2.5959 -10.2290 -0.5 -0.1 0.2
Ca 4.3421 2.9207 -1.5293 -3.4 -0.1 -0.4
C 10.8248 5.8160 -0.9716 0.2 0.0 0.0
C 10.6701 4.3357 -1.2537 0.2 0.0 -0.1
O 9.3733 4.0591 -0.6864 0.0 0.0 -0.1
C 8.6782 5.2196 -0.6565 0.1 0.2 0.1
........

(1)
117
Properties=species:S:1:pos:R:3:forces:R:3 method="wB97M-V/def2-TZVPD" molar_mass_g_mol=1092.21 lumo_energy_ev=-7.23 charge=+1 gap_ev=0.92
C -6.9152 1.7592 2.2700 -0.3 0.1 -0.5
C -7.1034 1.3518 0.8188 0.1 0.4 0.5
O -7.6599 0.0633 0.8008 -0.3 -0.2 0.0
C -8.2372 -0.3069 -0.4377 0.5 0.6 -0.6
C -7.3987 -1.3082 -1.1916 -0.5 0.1 0.6
C -7.9318 -1.8835 -2.3373 0.1 0.1 0.0
C -7.1817 -2.7772 -3.0755 -0.3 0.3 0.0
C -5.9089 -3.0911 -2.6349 0.6 -0.4 -0.4
C -5.3867 -2.5370 -1.4883 -0.3 0.0 0.4
C -6.1356 -1.6368 -0.7479 0.3 -0.2 -0.2
N -4.0724 -2.8994 -1.0858 0.2 0.2 -0.1
C -3.1093 -2.7424 -2.0766 0.4 0.0 -0.1
C -1.9372 -2.0006 -1.8762 -0.2 -0.2 0.3
C -1.7565 -1.3211 -0.5503 0.3 0.6 -0.1
O -0.6277 -0.4483 -0.6239 0.4 0.1 -0.2
O -0.2160 -0.2747 0.7435 -0.2 -0.2 0.4
C -1.0282 -1.8898 -2.8981 0.8 0.1 0.4
C -1.2446 -2.4880 -4.1129 -0.2 -0.7 -0.1
C -2.4055 -3.1996 -4.3361 0.3 0.0 -0.2
C -3.3281 -3.3308 -3.3178 -0.9 0.0 0.1
S -4.8454 -4.2076 -3.5243 -0.1 -0.2 -0.2
H -6.5806 2.7949 2.3105 0.3 0.0 0.1
H -6.2287 1.0944 2.7857 0.0 0.0 0.1
H -7.8977 1.7364 2.7353 0.0 -0.2 0.3
H -7.7672 2.0950 0.3662 -0.2 -0.2 -0.2
H -6.1500 1.4031 0.2733 0.0 -0.2 -0.1
H -9.2656 -0.6493 -0.3447 0.0 -0.3 0.4
H -8.2713 0.5868 -1.0716 -0.2 0.0 -0.1
H -8.9347 -1.5931 -2.6159 -0.1 -0.2 -0.2
H -7.6019 -3.2043 -3.9729 0.1 -0.1 -0.1
H -5.7233 -1.2155 0.1588 -0.1 0.1 0.1
H -3.8183 -2.4789 -0.2065 -0.1 0.0 0.1
H -2.6230 -0.6885 -0.3371 -0.2 -0.2 0.3
H -1.5638 -2.0221 0.2625 -0.2 -0.1 0.1
H 0.4431 0.4269 0.6930 -0.1 0.2 -0.3
H -0.1346 -1.2996 -2.7729 0.0 0.1 0.1
H -0.4760 -2.3393 -4.8703 0.3 -0.2 0.2
H -2.6428 -3.6635 -5.2944 0.0 -0.2 0.0
N -11.5035 -2.5041 -1.1199 0.0 0.0 0.1
O -12.6521 -2.8766 -0.8899 0.0 0.0 0.0
O -10.5904 -2.7375 -0.3079 0.0 0.0 0.0
O -11.2412 -1.8844 -2.1667 0.0 0.1 0.0
O 7.0141 -1.1828 -1.8899 0.5 -2.1 0.8
P 5.6217 -1.3510 -1.4737 -1.8 4.1 -1.1
O 4.6454 -1.2614 -2.7316 0.1 -0.3 0.3
C 4.8104 -2.2016 -3.8222 0.0 -0.4 -0.5
C 4.4877 -3.6215 -3.4093 0.0 0.1 0.3
O 5.3036 0.1859 -0.8376 -0.6 0.3 -0.1
C 6.3872 0.9001 -0.2397 0.0 0.1 0.1
C 6.7909 2.0206 -1.1688 1.2 -0.8 0.0
O 4.8108 -2.1587 -0.4302 1.5 -1.1 0.1
C 3.6151 -1.7500 0.2756 -0.8 -0.4 0.6
C 2.3650 -1.8451 -0.5657 0.1 0.2 -0.3
H 5.8267 -2.1315 -4.2127 0.0 0.1 0.1
H 4.1337 -1.8741 -4.6086 -0.1 0.2 0.1
H 5.2017 -3.9906 -2.6678 0.0 0.0 -0.1
H 4.5233 -4.2834 -4.2730 0.0 0.0 0.0
H 3.4962 -3.6812 -2.9613 -0.1 0.0 -0.1
H 7.2612 0.2870 -0.0342 -0.1 -0.2 -0.1
H 6.0362 1.2948 0.7202 0.0 0.0 0.0
H 7.0226 1.6487 -2.1703 -0.1 -0.1 0.0
H 7.6500 2.5778 -0.8019 -0.1 0.2 0.0
H 5.9803 2.7113 -1.2594 3.0 0.5 0.5
H 3.7339 -0.7660 0.7235 0.3 0.1 -0.3
H 3.5364 -2.4459 1.1091 0.2 -0.1 -0.1
H 2.3013 -1.0347 -1.2944 0.0 0.0 0.0
H 1.4885 -1.7808 0.0780 0.1 0.0 0.0
H 2.3311 -2.7863 -1.1117 0.0 -0.1 0.1
Mg -1.3159 -2.2900 -6.7249 -0.7 1.0 -0.1
F -1.9565 -0.0862 -4.5350 0.9 -3.5 -2.7
Cs -2.3441 1.7685 -3.5482 -1.1 3.7 1.8
C -0.7183 -0.4329 7.4588 0.0 -0.1 -0.1
C -0.1732 0.0349 6.1125 0.0 0.0 0.1
C -0.5390 1.4798 5.7764 0.0 0.0 -0.1
C -2.0386 1.7554 5.6447 0.0 -0.1 0.1
C -2.7635 0.9047 4.6029 0.0 0.1 -0.1
C -2.2487 1.1247 3.1842 -0.1 -0.1 0.0
H -1.8083 -0.4196 7.4798 0.0 0.0 0.0
H -0.4013 -1.4552 7.6682 0.0 0.0 0.0
H -0.3528 0.2021 8.2678 0.0 0.0 0.0
H -0.5219 -0.6385 5.3236 0.0 0.0 0.0
H 0.9184 -0.0502 6.1277 0.0 0.0 0.0
H -0.0321 1.7646 4.8488 0.0 0.0 0.0
H -0.1331 2.1375 6.5507 0.0 0.0 0.0
H -2.1739 2.8126 5.3967 0.0 0.0 0.0
H -2.5232 1.6133 6.6135 0.0 0.0 0.0
H -3.8268 1.1527 4.6341 0.0 0.0 0.0
H -2.6906 -0.1557 4.8581 0.0 0.0 0.0
H -2.3466 2.1732 2.8919 0.0 0.0 0.0
H -2.8159 0.5238 2.4710 0.0 0.0 0.0
H -1.1999 0.8385 3.0902 0.0 0.0 0.0
O -3.9881 2.4821 -7.7951 0.0 0.4 0.0
S -3.4759 1.9249 -9.0504 0.1 0.5 0.2
O -3.8653 0.5036 -9.1115 0.5 -0.6 -0.3
O -2.0132 2.0677 -9.0525 0.2 -0.6 0.3
O -4.0165 2.5959 -10.2290 -0.5 -0.1 0.2
Ca 4.3421 2.9207 -1.5293 -3.4 -0.1 -0.4
C 10.8248 5.8160 -0.9716 0.2 0.0 0.0
C 10.6701 4.3357 -1.2537 0.2 0.0 -0.1